Kate O’Sullivan is a Communications Intern with Nasc Irish Immigrant Support Centre, Cork. Nasc is an NGO working for an integrated society based on the principles of human rights, social justice and equality. This originally appeared in the Cork Independent, here – http://corkindependent.com/20130417/news/the-campaigner-end-institutional-living-campaign-S63453.html on the 17th April 2013
A National Day of Action is taking place on 23 April to raise awareness for the ‘End Institutional Living’ campaign which hopes to put an end to Direct Provision centres where asylum seekers are kept while awaiting a decision on their application to call Ireland home.
## Materials data, kept here for reference
=====
# 1
First-principles (PBE) data for a relaxed structure of DyScCl6, as listed in Alexandria. Values from VASP.

Cell and atoms, written as Quantum ESPRESSO input:
```
&SYSTEM
  ibrav = 0, nat = 8, ntyp = 3
/
ATOMIC_SPECIES
Dy 162.50 Dy.upf
Sc 44.96 Sc.upf
Cl 35.45 Cl.upf
CELL_PARAMETERS angstrom
3.284 1.896 5.920
-3.284 1.896 5.920
0.000 -3.792 5.920
ATOMIC_POSITIONS crystal
Dy 0.000 0.000 0.000
Sc 0.500 0.500 0.500
Cl 0.115 0.402 0.740
Cl 0.260 0.885 0.598
Cl 0.402 0.740 0.115
Cl 0.598 0.260 0.885
Cl 0.740 0.115 0.402
Cl 0.885 0.598 0.260
```

E above lowest polymorph: 0.0142 eV/atom
E_form (uncorrected): -2.15 eV per atom

=====

# 2
First-principles (PBE) data for a relaxed structure of TcC3N, as listed in Alexandria. Values from VASP.

Cell and atoms, written as Quantum ESPRESSO input:
```
&SYSTEM
  ibrav = 0, nat = 5, ntyp = 3
/
ATOMIC_SPECIES
Tc 98.00 Tc.upf
C 12.01 C.upf
N 14.01 N.upf
CELL_PARAMETERS angstrom
3.428 0.000 0.000
0.000 3.428 0.000
0.000 0.000 3.428
ATOMIC_POSITIONS crystal
Tc 0.000 0.000 0.000
C 0.000 0.500 0.500
C 0.500 0.000 0.500
C 0.500 0.500 0.000
N 0.500 0.500 0.500
```

E above lowest polymorph: 0.0263 eV/atom
E_form (uncorrected): 2.90 eV per atom

=====

# 3
First-principles (PBE) data for a relaxed structure of ReHg2As, as listed in Alexandria. Values from VASP.

Cell and atoms, written as Quantum ESPRESSO input:
```
&SYSTEM
  ibrav = 0, nat = 8, ntyp = 3
/
ATOMIC_SPECIES
Re 186.21 Re.upf
Hg 200.59 Hg.upf
As 74.92 As.upf
CELL_PARAMETERS angstrom
2.973 0.000 0.000
0.000 4.879 0.000
0.000 0.000 12.486
ATOMIC_POSITIONS crystal
Re 0.000 0.000 0.000
Re 0.500 0.500 0.500
Hg 0.000 0.000 0.478
Hg 0.000 0.500 0.298
Hg 0.500 0.000 0.798
Hg 0.500 0.500 0.978
As 0.000 0.500 0.654
As 0.500 0.000 0.154
```

energy of formation: 0.43 eV/atom

=====

# 4
First-principles (PBE) data for a relaxed structure of SrTaAl2, as listed in Alexandria. Values from VASP.

Cell and atoms, written as Quantum ESPRESSO input:
```
&SYSTEM
  ibrav = 0, nat = 8, ntyp = 3
/
ATOMIC_SPECIES
Sr 87.62 Sr.upf
Ta 180.95 Ta.upf
Al 26.98 Al.upf
CELL_PARAMETERS angstrom
4.491 0.000 0.000
0.000 4.514 0.000
0.000 0.000 8.518
ATOMIC_POSITIONS crystal
Sr 0.000 0.000 0.000
Sr 0.500 0.500 0.000
Ta 0.000 0.500 0.672
Ta 0.500 0.000 0.672
Al 0.000 0.000 0.477
Al 0.000 0.500 0.290
Al 0.500 0.000 0.290
Al 0.500 0.500 0.477
```

energy of formation: 0.27 eV/atom
E above lowest polymorph: 0.2693 eV/atom

=====

# 5
First-principles (PBE) data for a relaxed structure of Ce3Th3Ge4, as listed in Alexandria. Values from VASP.

Cell and atoms, written as Quantum ESPRESSO input:
```
&SYSTEM
  ibrav = 0, nat = 10, ntyp = 3
/
ATOMIC_SPECIES
Ce 140.12 Ce.upf
Th 232.04 Th.upf
Ge 72.64 Ge.upf
CELL_PARAMETERS angstrom
4.163 0.000 0.000
0.000 5.585 5.583
0.000 -5.585 5.583
ATOMIC_POSITIONS crystal
Ce 0.000 0.000 0.000
Ce 0.500 0.319 0.824
Ce 0.500 0.824 0.319
Th 0.000 0.145 0.499
Th 0.000 0.499 0.145
Th 0.000 0.645 0.645
Ge 0.500 0.199 0.199
Ge 0.500 0.444 0.444
Ge 0.500 0.702 0.944
=====
## End of the materials data
The campaign, which is a collaboration of non-governmental organisations, asylum seekers and community groups, is a response to the negative effect these centres have on their residents.
Jennifer and Michelle, who do not want to be named, both came to Ireland a number of years ago in search of asylum. Throughout the long process, of applying for asylum, appealing their asylum refusal, applying for subsidiary protection and humanitarian leave, all which have been refused, the women have lived in direct provision centres with their young children.
These women and their families have now been given deportation orders and fear being sent back to their home countries which they fled many years ago. Both say they fear for their lives if they return home.
“The night is the worst. It is hell. You hear footsteps in the hall and you think they are coming for you to send you back,” Michelle said. “I feel like I am living in a prison.”
Michelle has been in Ireland for the past six years and has a young son who, even at an early age, battles with the uncertainty of his future.
“In the morning sometimes, he starts crying, saying he wants his papers, his friends have left and he wants to go with them. He says he hates God because he never listens to his prayers.”
The women spoke of the often inadequate facilities.
“The food is always the same,” Jennifer, who shares a single room with her two small children said, “we have told management and staff but every day it is potato, rice, potato, rice. It doesn’t change.
“There are ten washing machines for everyone and the dryers have been broken for months, there is just one working. We must queue or dry our clothes in our room.”
Both women – Jennifer is a trained seamstress and Michelle has a degree in textiles and design – would like to contribute to society by working and earning a wage but they are not allowed to work and are forced to survive on €19.10 a week and €9.60 per child. “There is an attitude among Irish people that we are taking their money and we are lazy but I would love to be able to work,” Michelle said.
The women also said the staff at the centre they live in are not very empathetic or helpful. “They are all smiles to our faces but when we turn our backs it is another story.”
Jennifer also described a recent incident where staff refused to call an ambulance during an emergency in which her child had an accident, advising her to call a taxi.
“I went to the reception and told them but they did not help. My friend called an ambulance for me.”
Michelle expressed concern for the effect of these living conditions on her children. “In school my son was trying to understand what a kitchen was. He had no idea; he has never seen one, all his food is prepared for him at the centre. He has just a bedroom.”
Michelle also said the cramped living conditions were an issue. “The three of us live in one room and I must get changed in front of them every morning. It is not right that they are exposed to my nakedness every day, morning and night.”
Both women are currently pursuing high court cases to have their deportation order agreements reviewed in the hope of being granted leave to remain in Ireland.
“There is no escaping my thoughts,” Michelle said, “There is nothing to do, I go and chat to a friend but then I go back to my room and I look around and everything is the same.”
Spokesperson for Nasc Kate O’Sullivan said “Direct provision centres were initially supposed to be for a sixmonth period but now there are people living in them up to seven years. The conditions are unsuitable and we are campaigning for a more humane system.”
A rally is taking place in Daunt Square, Patrick St on 23 April at 5.30pm. Dr Joan Giller, who is a strong advocate for the abolition of direct provision centres and who has worked in direct provision centres since 2007 will be speaking at the event.
“People think we are here to just take from them, but I want to give back. I wish people knew what life is like for us really, I think they would look at me differently.”
[Next to the article, the page also holds data records]
┌──
[1]
{
  "formula": "MgAlGaAg",
  "functional": "PBE",
  "state": "relaxed",
  "lattice_angstrom": [[2.9605, 0.0000, 0.0000], [0.0000, 2.9754, 0.0000], [-1.4803, 0.0000, 8.8646]],
  "species": ["Ag", "Mg", "Ga", "Al"],
  "frac_coords": [[0.2196, 0.0000, 0.4392], [0.8342, 0.5000, 0.6683], [0.4491, 0.0000, 0.8981], [0.5925, 0.0000, 0.1851]],
  "sg": "Amm2, No. 38",
  "e_tot_ry_per_atom": -0.204,
  "formation_enthalpy_0k_ev_per_atom": 0.027
}


[2]
{
  "formula": "CaRe2Tc",
  "functional": "PBE",
  "state": "relaxed",
  "lattice_angstrom": [[-3.7025, -2.2029, -1.0813], [-0.2923, -0.7928, 2.6159], [-3.1031, 4.3200, 1.8247]],
  "species": ["Re", "Ca", "Tc", "Re"],
  "frac_coords": [[0.0000, 0.0125, 0.0357], [0.5000, 0.7454, 0.7443], [0.0000, 0.4889, 0.4764], [0.5000, 0.2531, 0.2437]],
  "sg": "Pm, No. 6",
  "e_tot_ry_per_atom": -0.643,
  "formation_enthalpy_0k_ev_per_atom": 0.570,
  "de_polymorph_mev_per_atom": 107
}


[3]
{
  "formula": "RbCoGe2Ir",
  "functional": "PBE",
  "state": "relaxed",
  "lattice_angstrom": [[-2.1226, 4.1330, -1.2167], [-3.7854, -0.9711, 3.3054], [2.4382, 2.2706, 3.4593]],
  "species": ["Rb", "Ir", "Ge", "Ge", "Co"],
  "frac_coords": [[0.5000, 0.5000, 0.5000], [0.0000, 0.0000, 0.0000], [0.0000, 0.0000, 0.5000], [0.5000, 0.0000, 0.0000], [0.0000, 0.5000, 0.0000]],
  "sg": "P4/mmm, No. 123",
  "e_tot_ry_per_atom": -0.356,
  "formation_enthalpy_0k_ev_per_atom": 0.394
}


[4]
{
  "formula": "Nb2TlC",
  "functional": "PBE",
  "state": "relaxed",
  "lattice_angstrom": [[6.6687, 0.0000, 0.0000], [0.0000, 6.6687, 0.0000], [3.3343, 3.3343, 3.1303]],
  "species": ["Nb", "Nb", "Nb", "Tl", "C", "C", "Nb", "Tl"],
  "frac_coords": [[0.8750, 0.7825, 0.7500], [0.3750, 0.4675, 0.7500], [0.2175, 0.6250, 0.2500], [0.0000, 0.0000, 0.0000], [0.2500, 0.7500, 0.5000], [0.5000, 0.5000, 0.0000], [0.5325, 0.1250, 0.2500], [0.7500, 0.2500, 0.5000]],
  "sg": "I-42d, No. 122",
  "e_tot_ry_per_atom": -0.555,
  "formation_enthalpy_0k_ev_per_atom": 0.381
}


[5]
{
  "formula": "AlW2Cl",
  "functional": "PBE",
  "state": "relaxed",
  "lattice_angstrom": [[-0.9810, 2.1920, -1.6246], [-2.0203, -1.2193, 1.6847], [2.1768, 6.2742, 7.1514]],
  "species": ["W", "W", "Al", "Cl"],
  "frac_coords": [[0.0000, 0.0000, 0.0610], [0.5000, 0.5000, 0.2716], [0.0000, 0.0000, 0.4917], [0.5000, 0.5000, 0.6757]],
  "sg": "Cmm2, No. 35",
  "e_tot_ry_per_atom": -0.559,
  "de_polymorph_mev_per_atom": 30
}


[6]
{
  "formula": "Li3ZrMn2S6",
  "functional": "PBE",
  "state": "relaxed",
  "lattice_angstrom": [[6.2874, -0.0182, 0.0066], [-3.1580, 5.4369, 0.0066], [-1.0374, -1.7962, 6.0776]],
  "species": ["S", "Li", "S", "Li", "S", "Mn", "S", "S", "Mn", "Zr", "Li", "S"],
└──
The man who said this to me had been living as an asylum seeker in Ireland for 5 years, and still didn’t know what would happen to him. What strikes me the most when talking to people like him is the fear. Fear of deportations if they speak up for themselves and fear that their children will become lost and hopeless. There has been a lot of concern recently for those who have lived and are living in State institutions, including asylum seekers. This recent spotlight is welcome but this is not a new issue. Since 2000, asylum seekers having been placed in institutional centres under what is called the ‘Direct Provision system’. Direct Provision means that on applying for asylum in Ireland, people are sent to one of 35 accommodation centres around the country until a decision is made on whether they will be granted refugee status or subsidiary protection. The majority of people wait 3-7 years for this.
People are housed in private centres, run on a for-profit basis. The estimated value of the contracts from 2000 – 2010 was €655 million. One of the issues being raised is how such a large amount of money could be paid out to private contractors yet asylum seekers themselves are often living in poverty, or at risk of it. They receive €19.10 per adult and €9.60 per child a week to cover anything outside of basic needs. One lady based in Cork told me she hates collecting even this small amount of money because people look at her as though she is ‘sponging’, though what she does get never covers what she needs for her two children. She is also not legally entitled to work, as Ireland is one of two countries in the EU which refuses to allow asylum seekers to support themselves through employment.
What is most worrying is the effect of all this on the approximately 1700 children in Direct Provision. Parents are not allowed to cook for their children. They often cannot afford for their children to participate in activities with their friends, or pay for their school books. The effects of living in accommodation and sharing facilities with strangers, up to 250 in some centres, is also a huge concern.
So what can we do? Nasc, the Irish Immigrant Support Centre is part of an alliance of NGOs, asylum seekers and community groups calling on people to take part in the ‘End Institutional Living’ campaign. 23 April is a national Day of Action, with events happening in Cork, Dublin, Galway, Tralee, Castlebar and Limerick. In Cork city, people are gathering at 5.30pm at Daunt Square on Patrick Street for a rally. Asylum seekers will address the rally as will Dr Joan Giller from Cork, who recently sparked a huge reaction with her letter to the Irish Times on conditions in Direct Provision.
The ‘End Institutional Living’ campaign believes that this institutional living needs to end and are wasteful of taxpayers’ money. We need to pressure our government into taking action now and this is the first step.